### Excerpt
<<<
Entry 1:
Mg2Sc5Pd2Pb: calculated powder diffraction line list (Cu Ka), based on a GGA-PBE-relaxed structure.
Peak positions follow from Bragg's law for the DFT cell and can differ from measured ones.

Principal peaks in the range 2θ = 10–90°, sorted by position:
2θ 15.6, intensity 34
2θ 17.5, intensity 43
2θ 24.8, intensity 37
2θ 33.7, intensity 22
2θ 35.4, intensity 25
2θ 35.5, intensity 100
2θ 38.2, intensity 25
2θ 40.6, intensity 17
2θ 48.3, intensity 16
2θ 52.4, intensity 14

Atomic structure:
Cell: 11.337 11.337 3.559 Å, 90.00 90.00 90.00°
Element x y z (fractional)
Mg  0.172  0.328  0.000
Mg  0.328  0.828  0.000
Mg  0.672  0.172  0.000
Mg  0.828  0.672  0.000
Sc  0.000  0.500  0.500
Sc  0.072  0.794  0.500
Sc  0.206  0.072  0.500
Sc  0.294  0.572  0.500
Sc  0.428  0.294  0.500
Sc  0.500  0.000  0.500
Sc  0.572  0.706  0.500
Sc  0.706  0.428  0.500
Sc  0.794  0.928  0.500
Sc  0.928  0.206  0.500
Pd  0.128  0.628  0.000
Pd  0.372  0.128  0.000
Pd  0.628  0.872  0.000
Pd  0.872  0.372  0.000
Pb  0.000  0.000  0.000
Pb  0.500  0.500  0.000

Entry 2:
Pm5Mg2Pb5: calculated powder diffraction line list (Cu Ka), based on a GGA-PBE-relaxed structure.
Peak positions follow from Bragg's law for the DFT cell and can differ from measured ones.

Principal peaks in the range 2θ = 10–90°, sorted by position:
2θ 26.5, intensity 14
2θ 26.9, intensity 58
2θ 29.8, intensity 100
2θ 32.9, intensity 48
2θ 33.2, intensity 22
2θ 35.7, intensity 20
2θ 37.8, intensity 26
2θ 38.3, intensity 36
2θ 47.4, intensity 17
2θ 51.6, intensity 15

Atomic structure:
Cell: 7.652 7.652 12.616 Å, 119.59 119.59 35.78°
Element x y z (fractional)
Pm  0.000  0.000  0.000
Pm  0.150  0.150  0.492
Pm  0.158  0.158  0.796
Pm  0.842  0.842  0.204
Pm  0.850  0.850  0.508
Mg  0.411  0.411  0.734
Mg  0.589  0.589  0.266
Pb  0.227  0.227  0.287
Pb  0.377  0.377  0.052
Pb  0.500  0.500  0.500
Pb  0.623  0.623  0.948
Pb  0.773  0.773  0.713

Entry 3:
Pm3MgPb4: calculated powder diffraction line list (Cu Ka), based on a GGA-PBE-relaxed structure.
Peak positions follow from Bragg's law for the DFT cell and can differ from measured ones.

Principal peaks in the range 2θ = 10–90°, sorted by position:
2θ 22.9, intensity 16
2θ 31.0, intensity 100
2θ 34.3, intensity 80
2θ 46.8, intensity 32
2θ 52.9, intensity 20
2θ 59.3, intensity 32
2θ 61.4, intensity 15
2θ 64.5, intensity 11
2θ 75.1, intensity 15
2θ 80.6, intensity 14

Atomic structure:
Cell: 10.442 10.442 10.442 Å, 29.03 29.03 29.03°
Element x y z (fractional)
Pm  0.000  0.000  0.000
Pm  0.242  0.242  0.242
Pm  0.758  0.758  0.758
Mg  0.500  0.500  0.500
Pb  0.125  0.125  0.125
Pb  0.375  0.375  0.375
Pb  0.625  0.625  0.625
Pb  0.875  0.875  0.875
>>>

### Request
Filter the listing above: keep the lines with the word "Pm".

### Solution
Pm  0.000  0.000  0.000
Pm  0.150  0.150  0.492
Pm  0.158  0.158  0.796
Pm  0.842  0.842  0.204
Pm  0.850  0.850  0.508
Pm  0.000  0.000  0.000
Pm  0.242  0.242  0.242
Pm  0.758  0.758  0.758